Given:
┌──
Here is an isolated ion of composition C3H10NS and charge +1 at a distorted geometry from OMol25. Energies are from ωB97M-V with the def2-TZVPD basis set.

As for the spin multiplicity: 1. The total charge is +1. The LUMO energy comes out at -5.39 eV. Its energy is -572.88899 hartree. The calculation puts the frontier orbital gap at 8.77 eV. Its energy above the lowest of the compared OMol25 structures with the same formula, charge and spin is 2.9982 eV. The largest force on an atom comes out at 3.263 eV/A.

Each line ends with the natural charge from an NBO analysis.
Cartesian coordinates (Å):
C (1.29367, 0.80474, 0.55948)  -0.117
N (1.16185, 2.19162, 0.53254)  -0.774
H (2.27228, 0.45066, 0.24236)  0.237
H (1.00428, 0.36100, 1.50685)  0.208
H (1.79684, 2.69532, -0.07795)  0.394
H (0.25254, 2.44556, 0.16314)  0.384
C (-2.00659, -0.26553, -1.25273)  -0.442
S (0.04957, -0.26458, -0.68009)  0.274
C (0.14211, -1.79605, 0.58376)  -0.605
H (-1.95814, -0.23521, -2.33251)  0.247
H (-2.09332, 0.70176, -0.78172)  0.228
H (-2.44404, -1.14055, -0.79238)  0.243
H (-0.70238, -1.47798, 1.17864)  0.232
H (0.08884, -2.79544, 0.16640)  0.258
H (1.14249, -1.67532, 0.98421)  0.232

Cartesian forces, eV/Å:
-0.559 0.723 0.552
-0.453 0.062 -1.152
-0.136 -0.209 -0.273
-0.254 0.041 -0.059
0.380 -0.414 0.055
-0.246 0.388 0.907
2.667 1.147 1.224
0.187 -3.221 -0.493
-0.020 1.800 -1.530
0.182 -0.129 -0.008
-1.368 -0.019 -0.103
0.030 0.104 0.178
0.244 -0.596 0.749
-0.432 0.249 -0.534
-0.221 0.074 0.485

Here is a 2-piece molecular cluster, C3H10NS2 overall at a distorted geometry from OMol25. Energies are from ωB97M-V with the def2-TZVPD basis set.

As for the spin multiplicity: 1. The total charge is -1. The LUMO energy comes out at 3.63 eV. Its energy is -971.43902 hartree. The calculation puts the frontier orbital gap at 6.50 eV. Its energy above the lowest of the compared OMol25 structures with the same formula, charge and spin is 0.6559 eV. The largest force on an atom comes out at 2.596 eV/A.

Each line ends with the natural charge from an NBO analysis.
Cartesian coordinates (Å):
C (1.65435, -2.61555, 0.29141)  -0.738
S (0.23929, -1.51882, 0.29998)  -0.623
H (2.58450, -2.02204, 0.40886)  0.179
H (1.60525, -3.38557, 1.12963)  0.174
H (1.73199, -3.19619, -0.65838)  0.180
C (-0.36236, 1.63242, -0.53727)  -0.230
C (-1.22984, 1.30745, 0.75391)  -0.553
S (-0.25973, 1.11158, 2.23806)  -0.202
N (-0.99564, 1.09355, -1.75582)  -0.874
H (-0.30520, 2.73236, -0.66786)  0.158
H (0.64330, 1.22611, -0.36932)  0.199
H (-2.07956, 2.06937, 0.87185)  0.200
H (-1.69671, 0.29905, 0.52716)  0.226
H (-0.10805, -0.16090, 1.74322)  0.182
H (-0.48319, 1.37413, -2.58742)  0.340
H (-0.93840, 0.05304, -1.68801)  0.382

Cartesian forces, eV/Å:
0.737 -1.065 0.543
-0.731 -0.333 -0.618
-0.291 -0.494 -0.021
0.164 0.884 -0.892
-0.038 0.414 0.554
-0.510 0.494 0.486
-1.435 0.329 -2.139
-0.269 0.512 0.499
-0.191 -0.907 0.476
0.117 -0.407 0.181
-0.207 0.090 0.033
1.219 -1.048 -0.162
0.276 1.206 0.387
1.005 -0.556 0.563
0.056 -0.094 0.233
0.098 0.974 -0.123

The evaluated HOMO energy for the records listed, in turn: -14.2 -2.9 eV.
└──

Request:
Now find the line earlier on that holds "0.274", then retype that line and all lines after it there.

Solution:
S (0.04957, -0.26458, -0.68009)  0.274
C (0.14211, -1.79605, 0.58376)  -0.605
H (-1.95814, -0.23521, -2.33251)  0.247
H (-2.09332, 0.70176, -0.78172)  0.228
H (-2.44404, -1.14055, -0.79238)  0.243
H (-0.70238, -1.47798, 1.17864)  0.232
H (0.08884, -2.79544, 0.16640)  0.258
H (1.14249, -1.67532, 0.98421)  0.232

Cartesian forces, eV/Å:
-0.559 0.723 0.552
-0.453 0.062 -1.152
-0.136 -0.209 -0.273
-0.254 0.041 -0.059
0.380 -0.414 0.055
-0.246 0.388 0.907
2.667 1.147 1.224
0.187 -3.221 -0.493
-0.020 1.800 -1.530
0.182 -0.129 -0.008
-1.368 -0.019 -0.103
0.030 0.104 0.178
0.244 -0.596 0.749
-0.432 0.249 -0.534
-0.221 0.074 0.485

Here is a 2-piece molecular cluster, C3H10NS2 overall at a distorted geometry from OMol25. Energies are from ωB97M-V with the def2-TZVPD basis set.

As for the spin multiplicity: 1. The total charge is -1. The LUMO energy comes out at 3.63 eV. Its energy is -971.43902 hartree. The calculation puts the frontier orbital gap at 6.50 eV. Its energy above the lowest of the compared OMol25 structures with the same formula, charge and spin is 0.6559 eV. The largest force on an atom comes out at 2.596 eV/A.

Each line ends with the natural charge from an NBO analysis.
Cartesian coordinates (Å):
C (1.65435, -2.61555, 0.29141)  -0.738
S (0.23929, -1.51882, 0.29998)  -0.623
H (2.58450, -2.02204, 0.40886)  0.179
H (1.60525, -3.38557, 1.12963)  0.174
H (1.73199, -3.19619, -0.65838)  0.180
C (-0.36236, 1.63242, -0.53727)  -0.230
C (-1.22984, 1.30745, 0.75391)  -0.553
S (-0.25973, 1.11158, 2.23806)  -0.202
N (-0.99564, 1.09355, -1.75582)  -0.874
H (-0.30520, 2.73236, -0.66786)  0.158
H (0.64330, 1.22611, -0.36932)  0.199
H (-2.07956, 2.06937, 0.87185)  0.200
H (-1.69671, 0.29905, 0.52716)  0.226
H (-0.10805, -0.16090, 1.74322)  0.182
H (-0.48319, 1.37413, -2.58742)  0.340
H (-0.93840, 0.05304, -1.68801)  0.382

Cartesian forces, eV/Å:
0.737 -1.065 0.543
-0.731 -0.333 -0.618
-0.291 -0.494 -0.021
0.164 0.884 -0.892
-0.038 0.414 0.554
-0.510 0.494 0.486
-1.435 0.329 -2.139
-0.269 0.512 0.499
-0.191 -0.907 0.476
0.117 -0.407 0.181
-0.207 0.090 0.033
1.219 -1.048 -0.162
0.276 1.206 0.387
1.005 -0.556 0.563
0.056 -0.094 0.233
0.098 0.974 -0.123

The evaluated HOMO energy for the records listed, in turn: -14.2 -2.9 eV.